-- To do --
The reader should print the calculation results underneath from the line with "0.013 0.177" to the end exactly.
-- Material --
=====
Zr2PbO6 | PBE | relaxed

Output
The final energy comes out at -0.2890 hartree per atom. The calculation puts the formation energy at -2.711 eV per atom. The calculated volume is 574 Å³/cell. As for the energy with MP2020 corrections: -299.6 eV per cell.

```
Zr2PbO6
1.0
6.037 0.000 0.000
0.000 8.470 0.000
0.000 0.000 11.226
Zr Pb O
8 4 24
Direct
0.233 0.268 0.126
0.233 0.732 0.126
0.265 0.776 0.619
0.265 0.224 0.619
0.733 0.268 0.374
0.733 0.732 0.374
0.765 0.224 0.881
0.765 0.776 0.881
0.128 0.000 0.363
0.376 0.500 0.868
0.628 0.000 0.137
0.876 0.500 0.632
0.024 0.266 0.261
0.024 0.734 0.261
0.220 0.500 0.595
0.262 0.000 0.668
0.264 0.000 0.187
0.262 0.500 0.052
0.449 0.294 0.773
0.449 0.706 0.773
0.509 0.209 0.500
0.513 0.177 0.012
0.509 0.791 0.500
0.513 0.823 0.012
0.524 0.266 0.239
0.524 0.734 0.239
0.720 0.500 0.905
0.762 0.000 0.832
0.764 0.000 0.313
0.762 0.500 0.448
0.949 0.294 0.727
0.949 0.706 0.727
0.013 0.177 0.488
0.009 0.209 0.000
0.009 0.791 0.000
0.013 0.823 0.488
```

---

Zr2Pb2O5 | PBE | relaxed

Output
The final energy comes out at -0.2823 hartree per atom. The calculation puts the formation energy at -2.589 eV per atom. The calculated volume is 627 Å³/cell. As for the energy with MP2020 corrections: -290.3 eV per cell.

```
Zr2Pb2O5
1.0
6.290 0.000 0.000
0.000 8.082 -0.028
0.000 -0.034 12.331
Zr Pb O
8 8 20
Direct
0.200 0.249 0.106
0.297 0.751 0.106
0.203 0.751 0.606
0.300 0.249 0.606
0.797 0.249 0.394
0.700 0.751 0.394
0.703 0.249 0.894
0.800 0.751 0.894
0.186 0.950 0.343
0.204 0.538 0.333
0.314 0.950 0.843
0.297 0.538 0.833
0.686 0.050 0.157
0.704 0.462 0.167
0.814 0.050 0.657
0.797 0.462 0.667
0.947 0.236 0.008
0.026 0.233 0.503
0.053 0.764 0.992
0.973 0.767 0.497
0.022 0.265 0.250
0.220 0.497 0.631
0.220 0.004 0.649
0.280 0.004 0.149
0.280 0.497 0.131
0.478 0.265 0.750
0.553 0.236 0.508
0.473 0.233 0.003
0.447 0.764 0.492
0.526 0.767 0.997
0.522 0.735 0.250
0.720 0.503 0.869
0.720 0.996 0.851
0.780 0.996 0.351
0.780 0.503 0.369
0.978 0.735 0.750
```

---

PdO2 | PBE | relaxed

Output
The final energy comes out at -0.1861 hartree per atom. The calculation puts the formation energy at -0.497 eV per atom. The calculated volume is 32 Å³/cell. As for the energy with MP2020 corrections: -16.6 eV per cell.

```
PdO2
1.0
0.000 2.513 2.513
2.513 0.000 2.513
2.513 2.513 0.000
Pd O
1 2
Direct
0.000 0.000 0.000
0.250 0.250 0.250
0.750 0.750 0.750
```

---

PdO | PBE | relaxed

Output
The final energy comes out at -0.2025 hartree per atom. The calculation puts the formation energy at -0.790 eV per atom. The calculated volume is 52 Å³/cell. As for the energy with MP2020 corrections: -23.4 eV per cell.

```
PdO
1.0
3.096 0.000 0.000
0.000 3.096 0.000
0.000 0.000 5.442
Pd O
2 2
Direct
0.000 0.500 0.500
0.500 0.000 0.000
0.000 0.000 0.750
0.000 0.000 0.250
```

---

PdO | PBE | relaxed

Output
The final energy comes out at -0.1860 hartree per atom. The calculation puts the formation energy at -0.341 eV per atom. The calculated volume is 24 Å³/cell. As for the energy with MP2020 corrections: -10.8 eV per cell.

```
PdO
1.0
-2.273 -2.273 0.000
-2.273 0.000 -2.273
0.000 -2.273 -2.273
Pd O
1 1
Direct
0.000 0.000 0.000
0.500 0.500 0.500
```

---

PdO | PBE | relaxed

Output
The final energy comes out at -0.1724 hartree per atom. The calculation puts the formation energy at 0.029 eV per atom. The calculated volume is 22 Å³/cell. As for the energy with MP2020 corrections: -10.1 eV per cell.

```
PdO
1.0
2.816 0.000 0.000
0.000 2.816 0.000
0.000 0.000 2.816
Pd O
1 1
Direct
0.500 0.500 0.500
0.000 0.000 0.000
```

---

PdO2 | PBE | relaxed

Output
The final energy comes out at -0.1946 hartree per atom. The calculation puts the formation energy at -0.728 eV per atom. The calculated volume is 68 Å³/cell. As for the energy with MP2020 corrections: -34.5 eV per cell.

```
PdO2
1.0
-2.573 -3.580 1.305
2.040 0.037 4.120
-2.245 2.012 1.093
Pd O
2 4
Direct
0.500 0.500 0.500
0.000 0.000 0.000
0.808 0.192 0.500
0.192 0.808 0.500
=====
-- Outcome --
0.013 0.177 0.488
0.009 0.209 0.000
0.009 0.791 0.000
0.013 0.823 0.488
```

---

Zr2Pb2O5 | PBE | relaxed

Output
The final energy comes out at -0.2823 hartree per atom. The calculation puts the formation energy at -2.589 eV per atom. The calculated volume is 627 Å³/cell. As for the energy with MP2020 corrections: -290.3 eV per cell.

```
Zr2Pb2O5
1.0
6.290 0.000 0.000
0.000 8.082 -0.028
0.000 -0.034 12.331
Zr Pb O
8 8 20
Direct
0.200 0.249 0.106
0.297 0.751 0.106
0.203 0.751 0.606
0.300 0.249 0.606
0.797 0.249 0.394
0.700 0.751 0.394
0.703 0.249 0.894
0.800 0.751 0.894
0.186 0.950 0.343
0.204 0.538 0.333
0.314 0.950 0.843
0.297 0.538 0.833
0.686 0.050 0.157
0.704 0.462 0.167
0.814 0.050 0.657
0.797 0.462 0.667
0.947 0.236 0.008
0.026 0.233 0.503
0.053 0.764 0.992
0.973 0.767 0.497
0.022 0.265 0.250
0.220 0.497 0.631
0.220 0.004 0.649
0.280 0.004 0.149
0.280 0.497 0.131
0.478 0.265 0.750
0.553 0.236 0.508
0.473 0.233 0.003
0.447 0.764 0.492
0.526 0.767 0.997
0.522 0.735 0.250
0.720 0.503 0.869
0.720 0.996 0.851
0.780 0.996 0.351
0.780 0.503 0.369
0.978 0.735 0.750
```

---

PdO2 | PBE | relaxed

Output
The final energy comes out at -0.1861 hartree per atom. The calculation puts the formation energy at -0.497 eV per atom. The calculated volume is 32 Å³/cell. As for the energy with MP2020 corrections: -16.6 eV per cell.

```
PdO2
1.0
0.000 2.513 2.513
2.513 0.000 2.513
2.513 2.513 0.000
Pd O
1 2
Direct
0.000 0.000 0.000
0.250 0.250 0.250
0.750 0.750 0.750
```

---

PdO | PBE | relaxed

Output
The final energy comes out at -0.2025 hartree per atom. The calculation puts the formation energy at -0.790 eV per atom. The calculated volume is 52 Å³/cell. As for the energy with MP2020 corrections: -23.4 eV per cell.

```
PdO
1.0
3.096 0.000 0.000
0.000 3.096 0.000
0.000 0.000 5.442
Pd O
2 2
Direct
0.000 0.500 0.500
0.500 0.000 0.000
0.000 0.000 0.750
0.000 0.000 0.250
```

---

PdO | PBE | relaxed

Output
The final energy comes out at -0.1860 hartree per atom. The calculation puts the formation energy at -0.341 eV per atom. The calculated volume is 24 Å³/cell. As for the energy with MP2020 corrections: -10.8 eV per cell.

```
PdO
1.0
-2.273 -2.273 0.000
-2.273 0.000 -2.273
0.000 -2.273 -2.273
Pd O
1 1
Direct
0.000 0.000 0.000
0.500 0.500 0.500
```

---

PdO | PBE | relaxed

Output
The final energy comes out at -0.1724 hartree per atom. The calculation puts the formation energy at 0.029 eV per atom. The calculated volume is 22 Å³/cell. As for the energy with MP2020 corrections: -10.1 eV per cell.

```
PdO
1.0
2.816 0.000 0.000
0.000 2.816 0.000
0.000 0.000 2.816
Pd O
1 1
Direct
0.500 0.500 0.500
0.000 0.000 0.000
```

---

PdO2 | PBE | relaxed

Output
The final energy comes out at -0.1946 hartree per atom. The calculation puts the formation energy at -0.728 eV per atom. The calculated volume is 68 Å³/cell. As for the energy with MP2020 corrections: -34.5 eV per cell.

```
PdO2
1.0
-2.573 -3.580 1.305
2.040 0.037 4.120
-2.245 2.012 1.093
Pd O
2 4
Direct
0.500 0.500 0.500
0.000 0.000 0.000
0.808 0.192 0.500
0.192 0.808 0.500